On this edition of The Israel Show: Decades before the Mossad, the first modern Jewish espionage organization, known as the NILI, operated during WW I. Yesterday, Chaf Gimmel Tishrei (23rd of Tishrei) was the 103rd yahrzeit of Sarah Aronson one of the founders, leaders and heroines of the NILI. TIS remembers her and her colleagues' fascinating story. In honor of today - Isru Chag (in the galut), TIS replays a Meir Millim segment explaining the name of the day "Isru Chag" and the "not to be...
Published 10/12/20
On this episode of The Israel Show: Meir Weingarten discusses "the Bar Kochba Revolt and the lulav" and what we learn from archaeology of the past few decades. Plus a great holiday-centric Israeli music mix. Moadim L'Simcha!
Published 09/28/20
On this edition of The Israel Show: Meir Weingarten discusses how for decades the naysayers warned that the Palestinian Arab problem is the key to Middle East peace and how last week they were proven wrong, as Israel signed peace treaties with the Gulf States - the first ever in history. That is probably why the media presented a somewhat subdued coverage. TIS shares clips from the live broadcast on Israel's most watched news station. and the weekly Israeli music mix featuring selections for...
Published 09/21/20
On this edition of The Israel Show: History will be made tomorrow, at the White House, as Israel signs normalization agreements with UAE and Bahrain. History of another kind will be made on Friday when the State of Israel will begin the celebration of R"H, Y"K & Succot in lockdown TIS discusses the "historic" details and a special pre Rosh HaShana selection of Israel music.
Published 09/14/20
On this edition of The Israel Show: The miracles keep mounting up. TIS focuses on the unnoticed details of the historic visit of a US-Israel delegation in the UAE. Yet again the Israeli government cowers before the Muslim Waqf on the Temple Mount and the weekly Israeli music mix will feature many new releases
Published 09/07/20
On this edition of The Israel Show: Chanan Ben-Ari, Omer Adam & Ariel Zilber, all at the top Israeli artists, release new songs especially for Chodesh Ellul. Hear their debuts and explanations of each. Last week, Israeli air force fighter jets entered the air space of a certain country, for the first time in history. tune in for details including the cockpit recordings.
Published 08/24/20
On this edition of The Israel Show: - Thoughts on the announcement by UAE & Israel of peace and normalization between the two countries. - You'll be touched by audio cuts of Tehila Friedman's debut Knesset speech. Tehila is a religious Zionist woman, and a member of the Kachol Lavan party. and the "not to be missed" weekly Israeli music mix includes a new prayer for the parents of the Israelis being inducted into the IDF now.
Published 08/17/20
On this edition of The Israel Show: Thoughts about Rabbi Adin Even-Israel Steinsaltz, zt"l, who passed away last week. The continuing saga of the gap year programs in Israel, why aren't they being welcomed to Israel as would be expected? and more. Plus the "not to be missed" weekly Israeli music mix.
Published 08/10/20
On this edition of The Israel Show: Meir Weingarten commemorates the 15th anniversary of the Gaza expulsion via a personal reflection of journalist Akiva Novick� and presents a� "not to be missed" weekly Israeli music mix.
Published 08/03/20
On this edition of The Israel Show: Meir Weingarten discusses conflict of interest revelations in Israel's Supreme Court and presents a Three Weeks appropriate edition of his not to be missed Israeli music mix
Published 07/13/20
On this edition of The Israel Show: Meir Weingarten discusses the six curious explosions/fires that took place during one week in Iran. He also remembers the US president who, in 1819, supported the return of the Jewish People to their land. And as always, Meir presented his "not to be missed" Israeli music mix.
Published 07/06/20
On this edition of The Israel Show: Meir Weingarten pays tribute to one of modern Israel's greatest poets and composers, featuring some of her lesser known but not less inspiring songs, today, zayin Tammuz (7th of the month of Tammuz), the yahrzeit of Naomi Shemer
Published 06/29/20
On this edition of The Israel Show: Meir Weingarten presents a "seminar" on how good journalists don't cower to the PC tantrums based on fictitious "narratives." The "class" will dissect a recent Israeli TV interview, as a live example.
........
# Li4Co3OF11, optimized geometry, DFT PBE with a Hubbard U
# M_tot (Bohr magnetons per cell): 12.0
# Formation energy (eV per atom): -2.4771
# Calculated density (g/cm³): 3.502
data_Li4Co3OF11
_symmetry_space_group_name_H-M 'P 1'
_symmetry_Int_Tables_number 1
_symmetry_space_group_name_Hall 'P 1'
_cell_length_a 5.7496
_cell_length_b 5.9072
_cell_length_c 6.3020
_cell_angle_alpha 100.49
_cell_angle_beta 100.76
_cell_angle_gamma 97.63
loop_
_atom_site_label
_atom_site_type_symbol
_atom_site_fract_x
_atom_site_fract_y
_atom_site_fract_z
_atom_site_occupancy
Li1 Li 0.0000 0.0000 0.0000 1
Li2 Li 0.1972 0.2659 0.5797 1
Li3 Li 0.4752 0.8142 0.7562 1
Li4 Li 0.7275 0.3064 0.8305 1
Co1 Co 0.2877 0.5196 0.0900 1
Co2 Co 0.5663 0.0419 0.2982 1
Co3 Co 0.8773 0.6690 0.4418 1
O1 O 0.5569 0.7215 0.3017 1
F1 F 0.0594 0.2651 0.8475 1
F2 F 0.1913 0.6106 0.5595 1
F3 F 0.2648 0.8354 0.0206 1
F4 F 0.3082 0.2523 0.2392 1
F5 F 0.4674 0.0763 0.5919 1
F6 F 0.4798 0.4840 0.8828 1
F7 F 0.6824 0.0728 0.0312 1
F8 F 0.7622 0.3442 0.4623 1
F9 F 0.8086 0.7656 0.7216 1
F10 F 0.9616 0.9853 0.3987 1
F11 F 0.9688 0.5521 0.1571 1

=====

(1)
First-principles (PBE with a Hubbard U) data for crystalline Al5Ni3O12 at its relaxed geometry, as listed in Materials Project.

Unit cell a=9.7563 b=5.7845 c=13.8657 alpha=90.00 beta=91.47 gamma=90.00
Closest atoms and distances in Å follow each position.
Space group C2/m (No. 12)
Symmetry-distinct sites (fractional):
Al 0.0061 0.0000 0.3753 (multiplicity 4)  4 O 1.78-1.81
Al 0.1607 0.5000 0.3389 (multiplicity 4)  6 O 1.85-2.03
Al 0.1618 0.0000 0.8412 (multiplicity 4)  6 O 1.85-2.03
Al 0.1663 0.5000 0.9528 (multiplicity 4)  4 O 1.78-1.81
Al 0.1748 0.5000 0.7089 (multiplicity 4)  4 O 1.79-1.86
Ni 0.0821 0.2492 0.1638 (multiplicity 8)  6 O 1.89-2.06
Ni 0.2500 0.2500 0.5000 (multiplicity 4)  6 O 1.92-2.06
O 0.0050 0.5000 0.2517 (multiplicity 4)  2 Al 1.85-1.92, 2 Ni 2.05
O 0.0087 0.0000 0.7548 (multiplicity 4)  2 Al 1.81-1.89
O 0.0858 0.2460 0.9069 (multiplicity 8)  2 Al 1.78-1.85, 1 Ni 1.89
O 0.0968 0.2539 0.4103 (multiplicity 8)  2 Al 1.78-1.85, 1 Ni 1.92
O 0.1637 0.0000 0.0926 (multiplicity 4)  1 Al 1.79, 2 Ni 1.93
O 0.1705 0.0000 0.5889 (multiplicity 4)  2 Al 1.80-1.90
O 0.1747 0.5000 0.0831 (multiplicity 4)  2 Al 1.81-1.89
O 0.1781 0.5000 0.5795 (multiplicity 4)  1 Al 1.79, 2 Ni 1.96
O 0.2450 0.2720 0.2465 (multiplicity 8)  3 Al 1.86-2.03, 1 Ni 1.94

Computed properties:
theoretical density	4.27	g cm⁻³
E_tot	-511.8	eV/cell
offset from the most stable computed form	0	meV per atom

(2)
First-principles (PBE with a Hubbard U) data for crystalline Li3Mn2CoO6 at its relaxed geometry, as listed in Materials Project.

Unit cell a=9.8152 b=2.8557 c=9.1718 alpha=90.00 beta=117.27 gamma=90.00
Closest atoms and distances in Å follow each position.
Space group C2/m (No. 12)
Symmetry-distinct sites (fractional):
Li 0.0000 0.0000 0.0000 (multiplicity 2)  4 O 2.10
Li 0.1663 0.5000 0.3444 (multiplicity 4)  6 O 2.13-2.36
........
Published 06/22/20
On this episode of The Israel Show: Meir Weingarten shares his thoughts on the exponential growth of Aliyah requests from the USA, he presents new music from Yonatan Razel and more.
Published 06/15/20
On this edition of The Israel Show: PM Netanyahu promises to apply Israeli law to the Jordan River Valley and parts of Judea & Samaria within the next month. Why is he getting strong opposition from - of all places - Israel's right wing? Sivan Rahav Meir has been sharing inspiring stories of Israelis returning home after years of living in America. Many personal accounts come to her mailbox every week, so why did she stop sharing them? What sci-fi sounding invention was envisioned by a...
Published 06/08/20
On this edition of The Israel Show: The impact of the ongoing riots in the USA on the Israeli - Arab conflict. How Israel and the Arab World are making Peace without a "peace deal" and the great weekly mix of new and nostalgic Israeli music.
Published 06/01/20
On this edition of The Israel Show: Yesterday, PM Netanyahu appeared in court for the opening of his trial. But first he made a defiant speech in the halls of the very same courthouse. TIS has clips and analysis Aviv Gefen is not known for his love of Israel's charedi community. Yet, in a live performance last week, he dedicated a song to the people of Bnei Brak. Meir has the audio and the explanation - which holds out hope for the future. and the "not to be missed" weekly Israeli music mix.
Published 05/25/20
On this edition of The Israel Show: Hear the heartbreaking words of a father whose only son was murdered last week during a military operation in the Shomron. 404 days after the first of the three elections, finally, Israel's emergency unity government was sworn in yesterday. Meir will give his analysis and insights. and the "not to be missed" weekly Israeli music mix.
Published 05/18/20
On this edition of The Israel Show Drama in real time - Yet another showdown: Israel's Judiciary v.s. the legislature & executive branches. Celebrating 100 years of the San Remo Conference is nice, but what was the San Remo Conference and why is it worthy of celebration?
Published 05/04/20
On this edition of The Israel Show: Meir Weingarten explores "Why don't we say full Hallel after 1st holiday of Pesach?" Also, Meir shares his thoughts for Erev Yom HaShoa and presents his weekly not to be missed Israeli music mix
Published 04/20/20
On this edition of The Israel Show: Meir Weingarten explores "Why don't we say full Hallel after 1st holiday of Pesach?" Also, Meir shares his thoughts for Erev Yom HaShoa and presents his weekly not to be missed Israeli music mix
Published 04/20/20
On this edition of The Israel Show: - Some thoughts, anecdotes and sounds of this unique Pesach in Israel - While flights into Israel from almost every other country are banned, What's going on with flights from the USA to Israel ? - An appreciation of Rabbi Eliyahu Bakshi-Doron ztz"l former Chief Rabbi of Israel. and the special Pesach Israeli music mix.
Published 04/13/20
On this edition of The Israel Show - Why does Israel have one of the lowest Corona death rates in the world? - PM Netanyahu victory - analysis of political genius - Inspiring words of Rabbi Marc Penner and the "not to be missed" weekly Israeli music mix.
Published 03/30/20